• To do:
It remains to search the data underneath for the word "Nd2Ho5Sc2" and give back each line that has it.
• Excerpt:
-- begin --
(1)
The following is a simulated PXRD pattern of Nd2Ho5Sc2. It was derived from a GGA-PBE-relaxed structure, using λ = 1.5418 Å (Cu Kα).
Peak positions follow from Bragg's law for the DFT cell and can differ from measured ones.

a = 6.058 Å, b = 6.064 Å, c = 7.825 Å
α = 82.40°, β = 75.06°, γ = 80.47°
Space group P-1 (No. 2)
One atom of each set of equivalent atoms:
1 Nd 0.221 0.444 0.112 x2
2 Ho 0.000 0.000 0.000 x1
3 Ho 0.116 0.221 0.553 x2
4 Ho 0.448 0.887 0.230 x2
5 Sc 0.335 0.664 0.663 x2

Peak list (6 most intense, 2θ from 15° to 90°, by angle)
- d 2.857, I 100.0, (2 1 1)
- d 2.476, I 33.6, (2 -1 0)
- d 2.471, I 16.8, (1 2 -1)
- d 1.749, I 29.3, (2 3 2)
- d 1.494, I 13.9, (-2 3 1)
- d 1.492, I 20.7, (3 3 0)


(2)
The following is a simulated PXRD pattern of Nd5Ir2Pd2. It was derived from a GGA-PBE-relaxed structure, using λ = 1.5418 Å (Cu Kα).
Peak positions follow from Bragg's law for the DFT cell and can differ from measured ones.

a = 14.994 Å, b = 7.845 Å, c = 7.801 Å
α = 90.00°, β = 90.00°, γ = 90.00°
Space group Cmce (No. 64)
One atom of each set of equivalent atoms:
1 Nd 0.000 0.000 0.000 x4
2 Nd 0.132 0.172 0.334 x16
3 Ir 0.000 0.131 0.630 x8
4 Pd 0.205 0.000 0.000 x8

Peak list (6 most intense, 2θ from 15° to 90°, by angle)
- d 2.863, I 100.0, (3 1 2)
- d 2.707, I 57.8, (4 2 0)
- d 2.560, I 87.3, (4 2 1)
- d 2.446, I 59.4, (1 3 1)
- d 2.436, I 55.8, (1 1 3)
- d 2.275, I 35.2, (5 1 2)


(3)
The following is a simulated PXRD pattern of In4Sn5. It was derived from a GGA-PBE-relaxed structure, using λ = 1.5418 Å (Cu Kα).
Peak positions follow from Bragg's law for the DFT cell and can differ from measured ones.

a = 10.742 Å, b = 4.688 Å, c = 10.285 Å
α = 90.00°, β = 107.04°, γ = 90.00°
Space group C2/m (No. 12)
One atom of each set of equivalent atoms:
1 In 0.001 0.000 0.167 x4
2 In 0.166 0.500 0.723 x4
3 Sn 0.000 0.000 0.500 x2
4 Sn 0.167 0.500 0.389 x4
5 Sn 0.168 0.500 0.057 x4

Peak list (6 most intense, 2θ from 15° to 90°, by angle)
- d 2.766, I 100.0, (3 1 0)
- d 2.456, I 18.0, (2 0 3)
- d 2.390, I 16.7, (4 0 -3)
- d 2.344, I 15.8, (0 2 0)
- d 1.471, I 14.7, (5 1 3)
- d 1.422, I 13.1, (3 3 0)


(4)
The following is a simulated PXRD pattern of Th2TePd. It was derived from a GGA-PBE-relaxed structure, using λ = 1.5418 Å (Cu Kα).
Peak positions follow from Bragg's law for the DFT cell and can differ from measured ones.

a = 4.1780 Å, b = 4.1780 Å, c = 23.6260 Å
α = 90.00°, β = 90.00°, γ = 120.00°
Space group R3m (No. 160, hexagonal axes)
One atom of each set of equivalent atoms:
1 Th 0.0000 0.0000 0.0000 x3
2 Th 0.0000 0.0000 0.1906 x3
3 Te 0.0000 0.0000 0.7621 x3
4 Pd 0.0000 0.0000 0.5941 x3

Peak list (6 most intense, 2θ from 15° to 90°, by angle)
- d 3.577, I 22.4, (1 0 1)
- d 3.460, I 23.0, (0 1 2)
- d 3.085, I 28.2, (1 0 4)
- d 2.873, I 100.0, (0 1 5)
- d 2.468, I 27.9, (1 0 7)
- d 2.089, I 48.7, (1 1 0)


(5)
The following is a simulated PXRD pattern of Tb2YLu. It was derived from a GGA-PBE-relaxed structure, using λ = 1.5418 Å (Cu Kα).
Peak positions follow from Bragg's law for the DFT cell and can differ from measured ones.

a = 3.540 Å, b = 3.540 Å, c = 10.000 Å
α = 90.00°, β = 90.00°, γ = 90.00°
Space group P4/mmm (No. 123)
One atom of each set of equivalent atoms:
1 Tb 0.000 0.000 0.246 x2
2 Y 0.500 0.500 0.500 x1
3 Lu 0.500 0.500 0.000 x1

Peak list (6 most intense, 2θ from 15° to 90°, by angle)
- d 2.889, I 100.0, (1 0 2)
- d 2.502, I 50.5, (1 1 0)
- d 1.769, I 35.7, (2 0 0)
- d 1.509, I 42.2, (2 1 2)
- d 1.445, I 12.1, (2 0 4)
- d 1.148, I 17.4, (3 0 2)


(6)
The following is a simulated PXRD pattern of KCrPb. It was derived from a GGA-PBE-relaxed structure, using λ = 1.5418 Å (Cu Kα).
Peak positions follow from Bragg's law for the DFT cell and can differ from measured ones.

a = 3.414 Å, b = 4.430 Å, c = 12.421 Å
α = 90.00°, β = 90.00°, γ = 90.00°
Space group Imm2 (No. 44)
One atom of each set of equivalent atoms:
1 K 0.000 0.000 0.000 x2
2 Cr 0.000 0.000 0.723 x2
3 Pb 0.000 0.000 0.290 x2
-- stop --
• Result:
The following is a simulated PXRD pattern of Nd2Ho5Sc2. It was derived from a GGA-PBE-relaxed structure, using λ = 1.5418 Å (Cu Kα).